Material:
'''
No. 1
Entry from the OMol25 dataset: a structure of composition C16H31F3O3P2PtS (ωB97M-V/def2-TZVPD).

Positions of all 57 atoms, in Å:
P 0.75 -3.48 -1.37
P 1.74 -0.48 -1.51
C 0.36 -2.44 -2.84
C 1.58 -1.52 -3.07
H -0.59 -1.92 -2.61
H 0.19 -3.13 -3.68
H 2.50 -2.11 -3.12
H 1.58 -0.81 -3.91
C 0.31 0.66 -1.75
H 0.13 1.26 -0.84
H -0.60 0.10 -2.02
H 0.64 1.30 -2.60
C 3.08 0.75 -1.40
H 3.29 1.05 -2.44
H 3.99 0.36 -0.93
H 2.72 1.62 -0.81
C -0.76 -4.03 -0.55
H -0.50 -4.64 0.33
H -1.33 -4.65 -1.25
H -1.32 -3.15 -0.21
C 1.45 -4.99 -2.09
H 1.63 -4.85 -3.17
H 0.70 -5.77 -1.90
H 2.36 -5.29 -1.57
Pt 1.75 -2.08 -0.18
C -1.57 4.67 -0.42
C -2.66 4.03 0.03
C -3.34 2.93 -0.68
C -2.81 1.61 -0.07
C -1.74 1.71 1.02
C -0.50 2.23 1.10
C 0.22 3.54 1.10
C -0.39 4.83 0.50
C 1.88 -3.27 1.46
H -1.53 5.14 -1.41
H -2.98 4.19 1.06
H -3.16 3.00 -1.76
H -4.42 2.94 -0.51
H -3.64 1.09 0.41
H -2.44 0.93 -0.85
H -1.96 0.98 1.82
H 0.26 1.46 1.39
H 1.23 3.38 0.68
H 0.45 3.75 2.17
H -0.71 5.37 1.40
H 0.38 5.42 0.00
H 2.31 -2.60 2.21
H 2.58 -4.09 1.22
H 0.90 -3.63 1.80
F -1.17 0.15 5.57
C -0.34 0.48 4.56
F -0.86 1.58 3.95
F 0.86 0.81 5.11
S -0.15 -0.92 3.32
O 0.33 -2.01 4.15
O -1.51 -1.05 2.79
O 0.84 -0.41 2.35

## Properties
Kohn-Sham gap (alpha / beta) (eV): 3.389 / 3.594
HOMO energy (alpha / beta) (eV): -11.52 / -14.34
Expectation value of S²: 6.02
Total charge: +2
LUMO energy (alpha / beta) (eV): -8.13 / -10.74
2S+1: 5
Energy relative to the best compared isomer or geometry (same formula, charge and spin) (eV): 1.537

natural (NBO) population analysis, charges in e, atoms 1 to 6: atom 1 (P): 1.05, atom 2 (P): 1.08, atom 3 (C): -0.73, atom 4 (C): -0.70, atom 5 (H): 0.23, atom 6 (H): 0.26



No. 2
Entry from the OMol25 dataset: a structure of composition C16H31F3O3P2STc (ωB97M-V/def2-TZVPD).

Positions of all 57 atoms, in Å:
P -1.30 -1.71 -3.96
P -0.56 2.12 -4.73
C -1.43 -0.46 -5.34
C -0.25 0.53 -5.47
H -2.40 0.06 -5.33
H -1.40 -1.16 -6.17
H 0.72 0.17 -5.06
H -0.09 0.77 -6.53
C -2.28 2.54 -4.67
H -2.49 3.20 -3.82
H -2.90 1.64 -4.53
H -2.60 3.01 -5.60
C 0.41 3.29 -5.86
H -0.01 3.35 -6.88
H 1.47 2.98 -5.91
H 0.46 4.31 -5.44
C -2.54 -3.13 -4.00
H -2.27 -3.91 -3.28
H -2.25 -3.49 -4.99
H -3.63 -2.94 -3.96
C 0.04 -2.53 -4.78
H 0.81 -1.81 -5.00
H -0.35 -2.90 -5.73
H 0.50 -3.36 -4.23
Tc -2.81 -0.80 -2.82
C 2.44 2.47 -3.60
C 1.08 2.39 -3.31
C 0.50 1.17 -2.55
C 1.34 -0.03 -2.06
C 2.19 -0.97 -2.82
C 2.88 -0.76 -3.97
C 3.74 0.38 -4.31
C 3.47 1.53 -3.24
C -2.27 -2.35 -1.34
H 2.84 3.37 -4.05
H 0.69 3.39 -2.99
H -0.37 0.79 -3.11
H -0.08 1.58 -1.71
H 1.85 0.44 -1.21
H 0.54 -0.68 -1.66
H 1.97 -2.05 -2.60
H 2.74 -1.55 -4.68
H 3.60 0.73 -5.35
H 4.83 0.17 -4.18
H 3.36 1.00 -2.28
H 4.44 2.04 -3.20
H -1.54 -1.97 -0.62
H -1.91 -3.37 -1.63
H -3.15 -2.61 -0.70
F -2.95 0.59 2.18
C -2.22 0.18 1.13
F -1.05 0.87 1.13
F -1.90 -1.11 1.38
S -3.09 0.71 -0.53
O -4.13 -0.18 -1.10
O -3.24 2.16 -0.36
O -1.96 0.50 -1.54

## Properties
Kohn-Sham gap (alpha / beta) (eV): 6.447 / 6.990
HOMO energy (alpha / beta) (eV): -13.81 / -14.68
Expectation value of S²: 3.80
Total charge: +2
LUMO energy (alpha / beta) (eV): -7.36 / -7.69
2S+1: 4
Energy relative to the best compared isomer or geometry (same formula, charge and spin) (eV): 4.888

natural (NBO) population analysis, charges in e, atoms 1 to 6: atom 1 (P): 1.20, atom 2 (P): 1.37, atom 3 (C): -0.72, atom 4 (C): -0.81, atom 5 (H): 0.23, atom 6 (H): 0.27



No. 3
Entry from the OMol25 dataset: a cluster of 2 separate species, C16H31F5NO3S in total (ωB97M-V/def2-TZVPD).

Positions of all 57 atoms, in Å:
O 1.79 -1.48 4.89
S 0.67 -0.62 4.60
O 0.31 -0.88 3.01
O 1.26 0.88 4.29
C 2.56 1.18 4.86
C 3.75 0.81 3.99
C 3.63 1.35 2.57
C 4.68 0.74 1.66
F 5.94 0.92 2.17
F 4.49 -0.61 1.54
C 4.68 1.34 0.20
F 4.91 0.39 -0.71
F 3.47 1.89 -0.09
F 5.60 2.30 0.07
H 0.61 -0.11 2.50
H 2.63 0.71 5.84
H 2.54 2.27 5.02
H 4.62 1.25 4.48
H 3.89 -0.27 3.99
H 2.65 1.10 2.14
H 3.74 2.44 2.56
C -2.87 1.04 0.91
C -1.52 0.60 0.36
C -1.19 1.17 -1.01
C -2.01 0.74 -2.22
N -2.07 -0.72 -2.62
'''
Assignment:
What is needed: restate the notes further above from the first line to the one with "-6.53" without additions.
Outcome:
No. 1
Entry from the OMol25 dataset: a structure of composition C16H31F3O3P2PtS (ωB97M-V/def2-TZVPD).

Positions of all 57 atoms, in Å:
P 0.75 -3.48 -1.37
P 1.74 -0.48 -1.51
C 0.36 -2.44 -2.84
C 1.58 -1.52 -3.07
H -0.59 -1.92 -2.61
H 0.19 -3.13 -3.68
H 2.50 -2.11 -3.12
H 1.58 -0.81 -3.91
C 0.31 0.66 -1.75
H 0.13 1.26 -0.84
H -0.60 0.10 -2.02
H 0.64 1.30 -2.60
C 3.08 0.75 -1.40
H 3.29 1.05 -2.44
H 3.99 0.36 -0.93
H 2.72 1.62 -0.81
C -0.76 -4.03 -0.55
H -0.50 -4.64 0.33
H -1.33 -4.65 -1.25
H -1.32 -3.15 -0.21
C 1.45 -4.99 -2.09
H 1.63 -4.85 -3.17
H 0.70 -5.77 -1.90
H 2.36 -5.29 -1.57
Pt 1.75 -2.08 -0.18
C -1.57 4.67 -0.42
C -2.66 4.03 0.03
C -3.34 2.93 -0.68
C -2.81 1.61 -0.07
C -1.74 1.71 1.02
C -0.50 2.23 1.10
C 0.22 3.54 1.10
C -0.39 4.83 0.50
C 1.88 -3.27 1.46
H -1.53 5.14 -1.41
H -2.98 4.19 1.06
H -3.16 3.00 -1.76
H -4.42 2.94 -0.51
H -3.64 1.09 0.41
H -2.44 0.93 -0.85
H -1.96 0.98 1.82
H 0.26 1.46 1.39
H 1.23 3.38 0.68
H 0.45 3.75 2.17
H -0.71 5.37 1.40
H 0.38 5.42 0.00
H 2.31 -2.60 2.21
H 2.58 -4.09 1.22
H 0.90 -3.63 1.80
F -1.17 0.15 5.57
C -0.34 0.48 4.56
F -0.86 1.58 3.95
F 0.86 0.81 5.11
S -0.15 -0.92 3.32
O 0.33 -2.01 4.15
O -1.51 -1.05 2.79
O 0.84 -0.41 2.35

## Properties
Kohn-Sham gap (alpha / beta) (eV): 3.389 / 3.594
HOMO energy (alpha / beta) (eV): -11.52 / -14.34
Expectation value of S²: 6.02
Total charge: +2
LUMO energy (alpha / beta) (eV): -8.13 / -10.74
2S+1: 5
Energy relative to the best compared isomer or geometry (same formula, charge and spin) (eV): 1.537

natural (NBO) population analysis, charges in e, atoms 1 to 6: atom 1 (P): 1.05, atom 2 (P): 1.08, atom 3 (C): -0.73, atom 4 (C): -0.70, atom 5 (H): 0.23, atom 6 (H): 0.26



No. 2
Entry from the OMol25 dataset: a structure of composition C16H31F3O3P2STc (ωB97M-V/def2-TZVPD).

Positions of all 57 atoms, in Å:
P -1.30 -1.71 -3.96
P -0.56 2.12 -4.73
C -1.43 -0.46 -5.34
C -0.25 0.53 -5.47
H -2.40 0.06 -5.33
H -1.40 -1.16 -6.17
H 0.72 0.17 -5.06
H -0.09 0.77 -6.53